In a World Few Hearts Survive
Sovereign (Nemesis, volume 2)
By April Daniels

27 May, 2017
2017’s Sovereign is the second novel in April Daniels’ Nemesis series.
Less than a year after super-powers were thrust on her, Danny “Dreadnought” Tozer seems to be finding her feet as a superhero and as a person. She and her lawyer have a cunning scheme to recreate the effectively defunct Legion Pacifica under Danny’s control. Danny is also on the verge of being legally emancipated from her abusive parents. Not bad for someone only barely old enough to drive.
With everything under control, it seems like the perfect time for a working holiday at a global convention for superhumans. This is, of course, exactly when her enemies unite against her.
/*
Entry 1:
Compound: NaAgO2
Source: Alexandria
Functional: GGA-PBE
Structure: relaxed

Properties
For the magnetization, the calculation gives 0.000 μB/cell. Its total energy is -4.09 eV per atom. The raw formation energy is -0.565 eV/atom.

a b c (Å): 5.8661 5.8728 5.9577
angles (deg): 120.53 120.47 86.93
Element x y z (fractional)
1 Na 0.0892 0.9108 0.7499
2 O 0.7258 0.7258 0.7258
3 O 0.2742 0.2741 0.7742
4 Ag 0.4867 0.5133 0.2500
5 Ag 0.5133 0.4867 0.7500
6 O 0.7258 0.7259 0.2258
7 O 0.2742 0.2742 0.2742
8 Na 0.9108 0.0892 0.2501

---

Entry 2:
Compound: ZnIn2Cl
Source: Alexandria
Functional: GGA-PBE
Structure: relaxed

Properties
The value obtained for the density of states at the Fermi level is 1.1 states/eV/cell. For the magnetization, the calculation gives 0.000 μB/cell. Its total energy is -2.33 eV per atom. Its energy above the most stable polymorph in this dataset is 82.7 meV/atom. The raw formation energy is -0.178 eV/atom.

a b c (Å): 3.4882 3.4882 8.0589
angles (deg): 90.00 90.00 90.00
Element x y z (fractional)
1 Zn 0.5000 0.5000 0.2500
2 In 0.0000 0.0000 0.4859
3 In 0.0000 0.0000 0.0141
4 Cl 0.5000 0.5000 0.7500

---

Entry 3:
Compound: InCuNi2N
Source: Alexandria
Functional: GGA-PBE
Structure: relaxed

Properties
The value obtained for the density of states at the Fermi level is 2.4 states/eV/cell. For the magnetization, the calculation gives 0.000 μB/cell. Its total energy is -5.25 eV per atom. The raw formation energy is 0.090 eV/atom.

a b c (Å): 3.9153 3.9153 3.9429
angles (deg): 90.00 90.00 90.00
Element x y z (fractional)
1 In 0.5000 0.5000 0.5000
2 Cu 0.0000 0.0000 0.5000
3 N 0.0000 0.0000 0.0000
4 Ni 0.5000 0.0000 0.0000
5 Ni 0.0000 0.5000 0.0000

---

Entry 4:
Compound: RbTlS2
Source: Alexandria
Functional: GGA-PBE
Structure: relaxed

Properties
The value obtained for the density of states at the Fermi level is 0.0 states/eV/cell. For the magnetization, the calculation gives 0.000 μB/cell. Its total energy is -3.45 eV per atom. Its energy above the most stable polymorph in this dataset is 84.5 meV/atom. The raw formation energy is -0.552 eV/atom.

a b c (Å): 7.0615 9.4041 8.1629
angles (deg): 38.40 107.26 85.82
Element x y z (fractional)
1 S 0.4553 0.6090 0.0230
2 Tl 0.6464 0.7161 0.2740
3 Rb 0.9034 0.9814 0.7236
4 S 0.3645 0.3164 0.5905
5 Tl 0.2616 0.6851 0.5000
6 S 0.6597 0.5794 0.8971
7 Rb 0.2239 0.2263 0.2512
8 S 0.1931 0.2072 0.8181

---

> Number 3 is which compound?

InCuNi2N

---

> Among the records above, which one has the highest raw formation energy?

InCuNi2N

~~~~~

BaDyH: relaxed, PBE-GGA.

Cell and atoms, written as POSCAR:
```
BaDyH
1.0
-3.285 1.543 -1.345
-0.610 0.223 -3.815
-5.748 -11.778 0.067
H Dy Ba
2 2 2
Direct
0.206 0.206 0.795
0.547 0.547 0.513
0.540 0.540 0.763
0.213 0.213 0.544
0.201 0.201 0.001
0.552 0.552 0.306
```

Magnetization ... 0.00 μB/cell
Crystal system ... monoclinic
Total DFT energy (no corrections) ... -3.462 eV/atom
Calculated volume ... 170 Å³/cell
Symmetry ... No. 12

~~~~~

1.
*/
Arcane TERF Graywytch despises all transsexuals, but Danny’s prominence as a superhero really puts the grit under Graywytch’s eyelid. Danny has been too effective as a superhero for the witch to undermine Danny’s standing in the cape world, but what she can do is provide Danny’s parents with a high-priced lawyer who will try to sabotage the teen’s legal emancipation.
This would be a good time for Danny to turn to her allies, but, alas! the members of the Legion Pacifica who liked her are mostly dead or incapacitated. The exception, her roommate Doctor Impossible, is consumed by remorse over events in the previous novel, and has yet to emerge from the bottle into which she fell. Danny’s best friend Calamity has grown increasingly distant since recovering from her injuries in the first novel. Even Mad Scientist Professor Gothic only approaches Dreadnought long enough for a few enigmatic hints about the coming crisis before running off into hiding.
At least Danny has her own lawyer1.
When the daughter of Danny’s deceased friend and ally Valkyrja begs Danny for help, our protagonist finds the task a welcome distraction. The daughter is being attacked from within by the memories she has inherited from her mother. (When one Valkyrja dies, her memories and the memories of all the Valkyrjas before her are passed on to a daughter.) The line is immortal; the afflicted inheritor is temporarily overwhelmed. Danny’s powers cannot help the daughter; what she can do is find and hire someone else to intervene.
She settles on a billionaire tech-bro who will do the job for free if Danny agrees to listen to his pitch. Reasonable enough. What could go wrong? Who would expect a reclusive rich guy with his own artificial island and a burning desire to remake the world to be any kind of villain?
Here the text breaks off for materials data:
=====
VASP calculation (PBE-GGA) on a relaxed structure of LaEuHoTl.

Summary:
- Electronic total energy: -22.42 eV/cell
- Volume: 31.49 Å³ per atom

Cell and atoms, written as POSCAR:
```
LaEuHoTl
1.0
0.000 3.979 3.979
3.979 0.000 3.979
3.979 3.979 0.000
La Eu Ho Tl
1 1 1 1
direct
0.000 0.000 0.000 La
0.750 0.750 0.750 Eu
0.500 0.500 0.500 Ho
0.250 0.250 0.250 Tl
```

* * * * *

(1)
The following is a DFT calculation (PBE) of a relaxed CdFe2CBr crystal.

Unit cell a=3.798 b=3.798 c=6.502 alpha=90.00 beta=90.00 gamma=90.00
Space group P4/mmm (No. 123)
Unique sites:
Cd1 0.000 0.000 0.000
Fe1 0.000 0.500 0.500
C1 0.500 0.500 0.500
Br1 0.500 0.500 0.000

Computed properties:
The value obtained for the formation energy without anion corrections is 0.657 eV/atom.

(2)
The following is a DFT calculation (PBE) of a relaxed CdPH6CBr3 crystal.

Unit cell a=7.035 b=8.595 c=15.513 alpha=93.49 beta=93.39 gamma=93.44
Space group P1 (No. 1)
Unique sites:
Cd1 0.000 0.000 0.000
Cd2 0.025 0.500 0.501
Cd3 0.499 0.996 0.001
Cd4 0.528 0.499 0.501
P1 0.272 0.557 0.779
P2 0.290 0.055 0.278
P3 0.734 0.553 0.112
P4 0.750 0.054 0.611
H1 0.073 0.410 0.869
H2 0.122 0.015 0.226
H3 0.142 0.669 0.759
H4 0.173 0.974 0.412
H5 0.225 0.558 0.931
H6 0.271 0.445 0.708
H7 0.285 0.820 0.355
H8 0.294 0.217 0.302
H9 0.320 0.379 0.890
H10 0.428 0.978 0.412
H11 0.448 0.026 0.230
H12 0.455 0.635 0.790
H13 0.571 0.639 0.104
H14 0.587 0.140 0.597
H15 0.616 0.383 0.215
H16 0.620 0.886 0.712
H17 0.728 0.438 0.042
H18 0.742 0.058 0.766
H19 0.752 0.550 0.267
H20 0.753 0.937 0.543
=====
Danny has legitimate reasons to resist indiscriminate slaughter, but her faith in the legal system to deal with supervillains is remarkable. Of course, in her world the legal system has been doing just that since WWII; presumably she wouldn’t hand supervillains over to the super-crime justice system if it had the Arkham Asylum’s revolving doors. Still, one cannot help but notice that mercy extends mainly to the named characters. Mooks get squashed. And I strongly suspect that the Big Bad in this book is not the sort of person to provide his minions with generous life insurance packages.
Professor Gothic’s revelation drives the plot.
“Should this growth continue its current pattern, as much as 7% of the human population could have superpowers by the end of the decade. By the middle of this century, that number could be as high as 41%.”
“Unless this trend reverses itself, I project that the entire human species will have superpowers by the year 2100 […]”
The usual rule in books like this is that by the end, the status is back to quo. Not so in Sovereign. Even if there was a consensus on what normal is — and this is not a book that wants to define a norm to which everyone should aspire — nobody with the ability to determine the course of the world wants to return to the previous status quo. They argue over how the future will be shaped, whether by self-proclaimed aristocrats or by people with a more democratic vision of the world.
Unusually for SF, this novel is on the side of the second group. Daniels firmly opposes the position taken by Brad Birds’ The Incredibles, in which the villain’s ultimate scheme is to hand everyone powers because
Empowering people does not make them homogenous, nor do their abilities become worthless, no matter how much that fact may upset the Galt’s Gulch contingent.
Dreadnought is what is commonly called a Flying Brick.
- The first rule for dealing with flying bricks is to attack them from angles where their powers are of no use. In Danny’s case, that’s her legal and social status. The bad guys do an admirable job of causing Danny legal trouble; their ploys range from supercharging her parents’ case against emancipation to ginning up some murder charges.
- The second rule is get a bigger hammer; the baddies do a fair job at that as well.
Danny also manages a few own-goals. She alienates other transsexual heroes with an apparent attempt to falsely claim the title of first transsexual superhero. She has blind spot when it comes to romance that seems implausible in an inexperienced teen. Surely she needs more practice to get things that wrong!
Happily for Danny, she understands that one of the real dividing lines between heroes and villains is that while villains have allies, heroes have friends. Allies can be trusted right up to the point that their interests diverge. Friends, on the other hand, are more dependable.
This was even better than the previous book, save for one small thing. After I read Dreadnought, I could appeal to the publisher for an advanced reading copy of the sequel, then consume it with all the self-control of a sugar-addled toddler. Having read Sovereign, I will have to wait for my fix until the next book is written. That could be months! How vexing.
Perhaps if I used my little device to carve the moon into the shape of a skull, Daniels would write faster. Worth a try, anyway.
Sovereign is available (for pre-order) here (Amazon) and here (Chapters-Indigo).
Please email corrections to jdnicoll at panix dot com.
1: Who very oddly is not a supervillain.